Brief
Now quote the part of the calculation results further down that starts with the line with "1.673 -3.136" and stops after the one with "3.626".

File
********
Entry from the Open Molecules 2025 dataset: a 6-piece molecular cluster, C6H24O6 overall (ωB97M-V with the def2-TZVPD basis set).

Structure (XYZ):
```
36
Properties=species:S:1:pos:R:3:mulliken_charge:R:1
O -0.857 1.665 0.513 -0.935
H -0.311 2.127 1.149 0.546
H -0.349 0.888 0.279 0.234
O -3.470 3.308 -0.195 -0.736
H -2.897 4.044 0.022 0.407
H -2.874 2.573 -0.338 0.300
O 0.878 3.735 2.239 -0.414
H -0.057 3.766 2.034 -0.063
H 0.926 3.934 3.174 0.401
O 2.778 2.250 0.839 -1.145
H 2.255 2.961 1.210 0.351
H 3.063 2.580 -0.013 0.383
C 1.078 -2.551 1.244 -1.236
C 1.776 -1.136 1.228 0.177
C 3.312 -1.212 1.298 -1.333
O 1.529 -0.655 -0.099 -0.410
H 1.673 -3.136 1.946 0.400
H 0.922 -3.098 0.314 0.258
H 0.113 -2.428 1.734 0.267
H 1.234 -0.552 1.971 0.359
H 3.851 -1.716 0.496 0.251
H 3.490 -1.661 2.275 0.391
H 3.815 -0.246 1.332 0.481
H 1.969 0.182 0.063 0.147
C -2.183 -2.251 -1.135 -1.205
C -2.350 -0.985 -1.960 0.610
C -1.159 -0.493 -2.708 -1.145
O -3.463 -1.182 -2.853 -0.569
H -3.079 -2.866 -1.054 0.388
H -1.897 -2.031 -0.107 0.265
H -1.428 -2.923 -1.544 0.258
H -2.511 -0.247 -1.174 0.053
H -1.316 0.565 -2.918 0.301
H -0.974 -0.978 -3.667 0.446
H -0.318 -0.496 -2.014 0.208
H -3.168 -1.733 -3.582 0.311
```

Kohn-Sham gap (alpha / beta) (eV): 2.7 / 10.7
ΔE to the lowest compared entry with this formula, charge and spin (kcal/mol): 5.3
Spin multiplicity: 2
Charge: -1
Molecular weight (g mol⁻¹): 192.25

* * * * *

[1]
124
Properties=species:S:1:pos:R:3 method="wB97M-V/def2-TZVPD" max_force_ev_per_a=0.67 s_squared=0.760 gap_ha="0.217 / 0.208" total_charge=+2 multiplicity=2 molar_mass_da=1316.567
Ru -0.616 -1.227 -0.978
Se 5.198 -1.475 3.378
P 3.369 -0.493 3.513
C 2.291 -1.242 4.754
C 2.520 -0.996 6.108
C 1.820 -1.705 7.071
C 0.912 -2.687 6.693
C 0.704 -2.956 5.349
C 1.387 -2.232 4.383
C 3.545 1.272 3.878
C 2.757 1.946 4.803
C 2.956 3.303 5.032
C 3.937 3.988 4.334
C 4.724 3.318 3.402
C 4.536 1.965 3.178
C 2.400 -0.574 1.938
C 1.194 -0.091 1.419
N 1.083 -0.593 0.156
N 2.175 -1.324 -0.078
N 2.960 -1.310 0.957
P -0.145 0.988 1.881
Se -1.819 0.318 0.672
C 0.271 2.671 1.381
C 1.557 3.163 1.596
C 1.884 4.443 1.173
C 0.934 5.235 0.544
C -0.352 4.751 0.341
C -0.685 3.470 0.753
C -0.522 0.990 3.626
C -0.345 2.146 4.384
C -0.710 2.151 5.722
C -1.255 1.013 6.297
C -1.446 -0.136 5.539
C -1.090 -0.146 4.204
H 3.268 -0.274 6.412
H 2.003 -1.511 8.119
H 0.386 -3.255 7.449
H 0.017 -3.740 5.054
H 1.246 -2.461 3.334
H 1.992 1.417 5.353
H 2.350 3.821 5.765
H 4.107 5.039 4.530
H 5.499 3.850 2.864
H 5.174 1.425 2.488
H 2.311 2.554 2.080
H 2.885 4.819 1.343
H 1.194 6.234 0.219
H -1.101 5.376 -0.130
H -1.689 3.096 0.597
H 0.071 3.038 3.937
H -0.575 3.048 6.312
H -1.545 1.024 7.340
H -1.880 -1.018 5.990
H -1.255 -1.034 3.604
C 1.185 1.600 -1.976
N 2.165 0.626 -2.343
C 3.552 1.046 -2.390
C 4.250 -0.170 -2.981
N 3.214 -1.201 -2.955
C 3.599 -2.487 -3.511
C 2.003 -0.687 -2.609
N 0.828 -1.311 -2.542
C 0.716 -2.667 -3.049
C -0.733 -2.894 -3.382
N -1.567 -2.750 -2.178
C -2.811 -3.214 -2.239
N -3.691 -3.240 -1.179
C -3.747 -2.265 -0.115
C -5.006 -3.698 -1.615
C -4.694 -4.421 -2.901
N -3.432 -3.805 -3.304
C -2.976 -4.181 -4.638
H 1.455 2.072 -1.027
H 0.214 1.131 -1.872
H 1.138 2.374 -2.749
H 3.912 1.291 -1.386
H 3.655 1.933 -3.018
H 5.092 -0.492 -2.370
H 4.605 -0.003 -4.001
H 4.684 -2.544 -3.448
H 3.320 -2.589 -4.562
H 3.206 -3.317 -2.934
H 1.065 -3.388 -2.306
H 1.275 -2.839 -3.966
H -0.819 -3.884 -3.821
H -1.024 -2.144 -4.122
H -2.757 -2.021 0.234
H -4.289 -2.698 0.726
H -4.260 -1.352 -0.432
H -5.671 -2.842 -1.771
H -5.448 -4.348 -0.863
H -5.449 -4.260 -3.668
H -4.570 -5.499 -2.759
H -3.871 -4.354 -5.232
H -2.394 -5.104 -4.638
H -2.419 -3.388 -5.118
C -3.465 1.295 -5.498
N -2.803 2.103 -4.487
C -2.342 1.685 -3.298
Se -2.435 -0.065 -2.651
N -1.829 2.752 -2.662
C -1.942 3.891 -3.454
C -1.561 5.209 -3.255
C -1.836 6.092 -4.285
C -2.468 5.673 -5.463
C -2.848 4.356 -5.653
C -2.568 3.476 -4.619
H -3.422 0.253 -5.196
H -2.955 1.422 -6.451
H -4.505 1.605 -5.595
H -1.477 2.707 -1.721
********

Completed
H 1.673 -3.136 1.946 0.400
H 0.922 -3.098 0.314 0.258
H 0.113 -2.428 1.734 0.267
H 1.234 -0.552 1.971 0.359
H 3.851 -1.716 0.496 0.251
H 3.490 -1.661 2.275 0.391
H 3.815 -0.246 1.332 0.481
H 1.969 0.182 0.063 0.147
C -2.183 -2.251 -1.135 -1.205
C -2.350 -0.985 -1.960 0.610
C -1.159 -0.493 -2.708 -1.145
O -3.463 -1.182 -2.853 -0.569
H -3.079 -2.866 -1.054 0.388
H -1.897 -2.031 -0.107 0.265
H -1.428 -2.923 -1.544 0.258
H -2.511 -0.247 -1.174 0.053
H -1.316 0.565 -2.918 0.301
H -0.974 -0.978 -3.667 0.446
H -0.318 -0.496 -2.014 0.208
H -3.168 -1.733 -3.582 0.311
```

Kohn-Sham gap (alpha / beta) (eV): 2.7 / 10.7
ΔE to the lowest compared entry with this formula, charge and spin (kcal/mol): 5.3
Spin multiplicity: 2
Charge: -1
Molecular weight (g mol⁻¹): 192.25

* * * * *

[1]
124
Properties=species:S:1:pos:R:3 method="wB97M-V/def2-TZVPD" max_force_ev_per_a=0.67 s_squared=0.760 gap_ha="0.217 / 0.208" total_charge=+2 multiplicity=2 molar_mass_da=1316.567
Ru -0.616 -1.227 -0.978
Se 5.198 -1.475 3.378
P 3.369 -0.493 3.513
C 2.291 -1.242 4.754
C 2.520 -0.996 6.108
C 1.820 -1.705 7.071
C 0.912 -2.687 6.693
C 0.704 -2.956 5.349
C 1.387 -2.232 4.383
C 3.545 1.272 3.878
C 2.757 1.946 4.803
C 2.956 3.303 5.032
C 3.937 3.988 4.334
C 4.724 3.318 3.402
C 4.536 1.965 3.178
C 2.400 -0.574 1.938
C 1.194 -0.091 1.419
N 1.083 -0.593 0.156
N 2.175 -1.324 -0.078
N 2.960 -1.310 0.957
P -0.145 0.988 1.881
Se -1.819 0.318 0.672
C 0.271 2.671 1.381
C 1.557 3.163 1.596
C 1.884 4.443 1.173
C 0.934 5.235 0.544
C -0.352 4.751 0.341
C -0.685 3.470 0.753
C -0.522 0.990 3.626